_Material_
- - -
Record 1
A plane-wave DFT calculation with PBE with a Hubbard U was carried out for PrZnFe2O6 after structural relaxation.

- VASP energy: -6.470 eV per atom
- Energy with MP2020 corrections: -7.33 eV per atom
- SG: Pmn2_1 (31)

Lattice parameters (Å, degrees): 5.326 5.481 7.733 90.00 90.00 90.00
Sites, in units of the cell vectors:
Zn 0.986 0.778 0.500
Zn 0.486 0.222 0.000
O 0.720 0.028 0.697
O 0.220 0.972 0.803
O 0.808 0.554 0.691
O 0.220 0.972 0.197
O 0.579 0.789 0.000
O 0.808 0.554 0.309
O 0.308 0.446 0.191
O 0.308 0.446 0.809
O 0.079 0.211 0.500
O 0.720 0.028 0.303
O 0.368 0.727 0.500
O 0.868 0.273 0.000
Pr 0.011 0.709 0.000
Pr 0.511 0.291 0.500
Fe 0.500 0.756 0.250
Fe 0.000 0.244 0.750
Fe 0.500 0.756 0.750
Fe 0.000 0.244 0.250

---

Record 2
A plane-wave DFT calculation with PBE with a Hubbard U was carried out for Cd6Co5O15 after structural relaxation.

- VASP energy: -4.900 eV per atom
- Energy with MP2020 corrections: -5.61 eV per atom
- SG: P1 (1)
- Energy relative to the lowest polymorph listed for this composition: 0 meV/atom

Lattice parameters (Å, degrees): 6.835 6.842 6.938 86.66 86.06 87.39
Sites, in units of the cell vectors:
Co 0.696 0.698 0.692
Co 0.111 0.105 0.108
Co 0.304 0.299 0.305
Co 0.498 0.500 0.495
Co 0.893 0.911 0.911
O 0.679 0.723 0.967
O 0.692 0.669 0.418
O 0.860 0.183 0.948
O 0.027 0.276 0.318
O 0.715 0.966 0.665
O 0.423 0.689 0.673
O 0.967 0.886 0.197
O 0.303 0.577 0.312
O 0.339 0.029 0.305
O 0.671 0.422 0.687
O 0.968 0.678 0.723
O 0.198 0.965 0.892
O 0.578 0.320 0.306
O 0.285 0.316 0.035
O 0.311 0.310 0.576
Cd 0.493 0.158 0.825
Cd 0.154 0.825 0.490
Cd 0.828 0.489 0.152
Cd 0.994 0.333 0.669
Cd 0.335 0.674 0.999
Cd 0.676 0.999 0.333

---

Record 3
A plane-wave DFT calculation with PBE with a Hubbard U was carried out for CoSb3XeF23 after structural relaxation.

- VASP energy: -3.939 eV per atom
- Energy with MP2020 corrections: -4.38 eV per atom
- SG: P2_1/c (14)

Lattice parameters (Å, degrees): 10.850 11.068 19.115 55.01 90.00 90.00
Sites, in units of the cell vectors:
F 0.785 0.626 0.627
F 0.478 0.856 0.132
F 0.640 0.609 0.822
F 0.579 0.555 0.038
F 0.175 0.734 0.771
F 0.360 0.391 0.178
F 0.657 0.089 0.613
F 0.035 0.964 0.730
F 0.808 0.765 0.393
F 0.481 0.312 0.624
F 0.930 0.056 0.830
F 0.920 0.840 0.491
F 0.981 0.688 0.876
F 0.087 0.878 0.032
F 0.420 0.160 0.009
F 0.580 0.840 0.991
F 0.761 0.328 0.380
F 0.465 0.964 0.230
F 0.239 0.672 0.620
F 0.921 0.555 0.538
F 0.157 0.911 0.887
F 0.168 0.449 0.972
F 0.140 0.391 0.678
F 0.215 0.374 0.373
F 0.448 0.750 0.842
F 0.830 0.834 0.981
F 0.063 0.666 0.243
F 0.080 0.160 0.509
F 0.570 0.056 0.330
F 0.671 0.058 0.020
F 0.171 0.942 0.480
F 0.123 0.195 0.851
F 0.470 0.414 0.723
F 0.970 0.586 0.777
F 0.832 0.551 0.028
F 0.670 0.834 0.481
F 0.552 0.250 0.158
F 0.343 0.911 0.387
F 0.261 0.672 0.120
F 0.965 0.036 0.270
F 0.070 0.944 0.170
F 0.285 0.374 0.873
F 0.174 0.700 0.475
F 0.668 0.551 0.528
F 0.519 0.688 0.376
F 0.308 0.235 0.107
F 0.877 0.805 0.149
F 0.019 0.312 0.124
F 0.421 0.445 0.962
F 0.022 0.856 0.632
F 0.978 0.144 0.368
F 0.030 0.414 0.223
F 0.860 0.609 0.322
F 0.833 0.825 0.735
F 0.170 0.166 0.019
F 0.326 0.700 0.975
F 0.329 0.942 0.980
F 0.739 0.328 0.880
F 0.411 0.635 0.527
F 0.563 0.334 0.257
F 0.715 0.626 0.127
F 0.911 0.365 0.973
F 0.330 0.166 0.519
F 0.325 0.734 0.271
F 0.333 0.175 0.765
F 0.535 0.036 0.770
F 0.052 0.750 0.342
F 0.674 0.300 0.025
F 0.530 0.586 0.277
F 0.667 0.825 0.235
F 0.192 0.235 0.607
F 0.913 0.122 0.968
F 0.675 0.266 0.729
F 0.843 0.089 0.113
F 0.430 0.944 0.670
F 0.377 0.195 0.351
F 0.437 0.666 0.743
F 0.589 0.365 0.473
F 0.413 0.878 0.532
F 0.522 0.144 0.868
F 0.587 0.122 0.468
F 0.623 0.805 0.649
F 0.825 0.266 0.229
F 0.089 0.635 0.027
F 0.079 0.445 0.462
F 0.692 0.765 0.893
F 0.826 0.300 0.525
F 0.948 0.250 0.658
F 0.937 0.334 0.757
F 0.167 0.175 0.265
F 0.332 0.449 0.472
F 0.829 0.058 0.520
Sb 0.792 0.212 0.995
Sb 0.708 0.212 0.495
Sb 0.205 0.307 0.489
Sb 0.705 0.693 0.011
Sb 0.208 0.788 0.005
- - -

_Wanted_
Type out the lines further above from the one with "0.080 0.160" to the one with "0.668 0.551" verbatim.

_Worked solution_
F 0.080 0.160 0.509
F 0.570 0.056 0.330
F 0.671 0.058 0.020
F 0.171 0.942 0.480
F 0.123 0.195 0.851
F 0.470 0.414 0.723
F 0.970 0.586 0.777
F 0.832 0.551 0.028
F 0.670 0.834 0.481
F 0.552 0.250 0.158
F 0.343 0.911 0.387
F 0.261 0.672 0.120
F 0.965 0.036 0.270
F 0.070 0.944 0.170
F 0.285 0.374 0.873
F 0.174 0.700 0.475
F 0.668 0.551 0.528